Request
Type out the whole of the block below without altering anything, please.

Source
# Na5B6C4
Calculated powder XRD pattern, λ = 1.5418 Å (Cu Kα). Input: a cell relaxed with PBE.
Lines closer than 0.1° are merged.

Most intense lines, 5 to 70 degrees two-theta, sorted by position:
Position (°2θ), I/Imax
35.9, 19
36.5, 35
41.9, 100
42.4, 98
42.4, 98
42.7, 76
57.3, 19
64.9, 34

Structure:
```
Na5B6C4
1.0
11.332 -1.416 0.000
11.332 1.416 0.000
-3.037 0.000 9.355
Na B C
10 12 8
Direct
0.000 0.000 0.000
0.099 0.099 0.699
0.200 0.200 0.400
0.301 0.301 0.099
0.399 0.399 0.801
0.500 0.500 0.500
0.601 0.601 0.199
0.699 0.699 0.901
0.800 0.800 0.600
0.901 0.901 0.301
0.084 0.084 0.419
0.111 0.111 0.972
0.182 0.182 0.116
0.278 0.278 0.804
0.319 0.319 0.388
0.487 0.487 0.223
0.513 0.513 0.777
0.681 0.681 0.612
0.722 0.722 0.196
0.818 0.818 0.884
0.889 0.889 0.028
0.916 0.916 0.581
0.018 0.018 0.287
0.213 0.213 0.676
0.385 0.385 0.517
0.421 0.421 0.091
0.579 0.579 0.909
0.615 0.615 0.483
0.787 0.787 0.324
0.982 0.982 0.713
```

# Dy2Ho5TmIn
Calculated powder XRD pattern, λ = 1.5418 Å (Cu Kα). Input: a cell relaxed with PBE.
Lines closer than 0.1° are merged.

Most intense lines, 5 to 70 degrees two-theta, sorted by position:
Position (°2θ), I/Imax
27.5, 11
27.9, 14
31.2, 30
32.8, 100
33.8, 31
34.6, 16
49.1, 12
59.9, 18

Structure:
```
Dy2Ho5TmIn
1.0
2.651 -10.071 0.000
2.651 10.071 0.000
0.000 0.000 10.379
Dy Ho Tm In
4 10 2 2
Direct
0.116 0.884 0.539
0.116 0.884 0.961
0.884 0.116 0.039
0.884 0.116 0.461
0.011 0.989 0.250
0.288 0.712 0.552
0.288 0.712 0.948
0.381 0.619 0.250
0.500 0.500 0.000
0.500 0.500 0.500
0.619 0.381 0.750
0.712 0.288 0.052
0.712 0.288 0.448
0.989 0.011 0.750
0.208 0.792 0.250
0.792 0.208 0.750
0.404 0.596 0.750
0.596 0.404 0.250
```

* * * * *

Structure and computed XRD peak list of Er3ZrNi8 (a cell relaxed with GGA-PBE; Cu Ka).
No peak broadening, texture or thermal motion is included.

Cell and atoms:
```
Er3ZrNi8
1.0
2.504 1.445 8.195
-2.504 1.445 8.195
0.000 -2.891 8.195
Er Zr Ni
3 1 8
direct
0.000 0.000 0.000
0.126 0.126 0.126
0.501 0.501 0.501
0.625 0.625 0.625
0.060 0.562 0.562
0.064 0.064 0.566
0.064 0.566 0.064
0.313 0.313 0.313
0.562 0.060 0.562
0.562 0.562 0.060
0.566 0.064 0.064
0.813 0.813 0.813
```

Main lines, by intensity (2θ = 5–70°):
two_theta  I/Imax
42.3  100.0
35.8  59.9
68.9  22.6
44.3  17.3
64.4  16.3
21.7  10.5
68.8  7.4
64.3  5.5
20.8  1.6
10.8  1.5

* * * * *

No. 1
Diffraction record for Mg3Al18V2. The powder X-ray diffraction pattern is computed, not measured: it uses a crystal structure in the Materials Project, relaxed with PBE and Cu Kα X-rays.
Peak positions follow from Bragg's law for the DFT cell and can differ from measured ones.

Structure:
Unit cell a=14.600 b=14.600 c=14.600 alpha=90.00 beta=90.00 gamma=90.00
Space group Fd-3m (No. 227, origin choice 2)
Inequivalent atoms, fractional coordinates:
Mg (0.000, 0.000, 0.000) [16 per cell]
Mg (0.125, 0.125, 0.125) [8 per cell]
Al (0.012, 0.375, 0.875) [48 per cell]
Al (0.058, 0.058, 0.326) [96 per cell]
V (0.000, 0.000, 0.500) [16 per cell]

Largest 6 diffraction maxima, in order of rising 2θ, 10 to 90 degrees two-theta:
10.49 deg, I = 58.5, hkl 1 1 1
36.41 deg, I = 46.6, hkl 5 3 1
40.52 deg, I = 73.1, hkl 5 3 3
41.01 deg, I = 100.0, hkl 6 2 2
44.31 deg, I = 50.3, hkl 7 1 1
73.37 deg, I = 41.6, hkl 8 8 0


No. 2
Diffraction record for Mg14AlV. The powder X-ray diffraction pattern is computed, not measured: it uses a crystal structure in the Materials Project, relaxed with PBE and Cu Kα X-rays.
Peak positions follow from Bragg's law for the DFT cell and can differ from measured ones.

Structure:
Unit cell a=6.2681 b=6.2681 c=10.3114 alpha=90.00 beta=90.00 gamma=120.00
Space group P-6m2 (No. 187)
Inequivalent atoms, fractional coordinates:
Mg (0.0000, 0.0000, 0.2497) [2 per cell]
Mg (0.0056, 0.5028, 0.2505) [6 per cell]
Mg (0.3325, 0.1662, 0.0000) [3 per cell]
Mg (0.3345, 0.1673, 0.5000) [3 per cell]
Al (0.3333, 0.6667, 0.0000) [1 per cell]
V (0.3333, 0.6667, 0.5000) [1 per cell]

Written answer
# Na5B6C4
Calculated powder XRD pattern, λ = 1.5418 Å (Cu Kα). Input: a cell relaxed with PBE.
Lines closer than 0.1° are merged.

Most intense lines, 5 to 70 degrees two-theta, sorted by position:
Position (°2θ), I/Imax
35.9, 19
36.5, 35
41.9, 100
42.4, 98
42.4, 98
42.7, 76
57.3, 19
64.9, 34

Structure:
```
Na5B6C4
1.0
11.332 -1.416 0.000
11.332 1.416 0.000
-3.037 0.000 9.355
Na B C
10 12 8
Direct
0.000 0.000 0.000
0.099 0.099 0.699
0.200 0.200 0.400
0.301 0.301 0.099
0.399 0.399 0.801
0.500 0.500 0.500
0.601 0.601 0.199
0.699 0.699 0.901
0.800 0.800 0.600
0.901 0.901 0.301
0.084 0.084 0.419
0.111 0.111 0.972
0.182 0.182 0.116
0.278 0.278 0.804
0.319 0.319 0.388
0.487 0.487 0.223
0.513 0.513 0.777
0.681 0.681 0.612
0.722 0.722 0.196
0.818 0.818 0.884
0.889 0.889 0.028
0.916 0.916 0.581
0.018 0.018 0.287
0.213 0.213 0.676
0.385 0.385 0.517
0.421 0.421 0.091
0.579 0.579 0.909
0.615 0.615 0.483
0.787 0.787 0.324
0.982 0.982 0.713
```

# Dy2Ho5TmIn
Calculated powder XRD pattern, λ = 1.5418 Å (Cu Kα). Input: a cell relaxed with PBE.
Lines closer than 0.1° are merged.

Most intense lines, 5 to 70 degrees two-theta, sorted by position:
Position (°2θ), I/Imax
27.5, 11
27.9, 14
31.2, 30
32.8, 100
33.8, 31
34.6, 16
49.1, 12
59.9, 18

Structure:
```
Dy2Ho5TmIn
1.0
2.651 -10.071 0.000
2.651 10.071 0.000
0.000 0.000 10.379
Dy Ho Tm In
4 10 2 2
Direct
0.116 0.884 0.539
0.116 0.884 0.961
0.884 0.116 0.039
0.884 0.116 0.461
0.011 0.989 0.250
0.288 0.712 0.552
0.288 0.712 0.948
0.381 0.619 0.250
0.500 0.500 0.000
0.500 0.500 0.500
0.619 0.381 0.750
0.712 0.288 0.052
0.712 0.288 0.448
0.989 0.011 0.750
0.208 0.792 0.250
0.792 0.208 0.750
0.404 0.596 0.750
0.596 0.404 0.250
```

* * * * *

Structure and computed XRD peak list of Er3ZrNi8 (a cell relaxed with GGA-PBE; Cu Ka).
No peak broadening, texture or thermal motion is included.

Cell and atoms:
```
Er3ZrNi8
1.0
2.504 1.445 8.195
-2.504 1.445 8.195
0.000 -2.891 8.195
Er Zr Ni
3 1 8
direct
0.000 0.000 0.000
0.126 0.126 0.126
0.501 0.501 0.501
0.625 0.625 0.625
0.060 0.562 0.562
0.064 0.064 0.566
0.064 0.566 0.064
0.313 0.313 0.313
0.562 0.060 0.562
0.562 0.562 0.060
0.566 0.064 0.064
0.813 0.813 0.813
```

Main lines, by intensity (2θ = 5–70°):
two_theta  I/Imax
42.3  100.0
35.8  59.9
68.9  22.6
44.3  17.3
64.4  16.3
21.7  10.5
68.8  7.4
64.3  5.5
20.8  1.6
10.8  1.5

* * * * *

No. 1
Diffraction record for Mg3Al18V2. The powder X-ray diffraction pattern is computed, not measured: it uses a crystal structure in the Materials Project, relaxed with PBE and Cu Kα X-rays.
Peak positions follow from Bragg's law for the DFT cell and can differ from measured ones.

Structure:
Unit cell a=14.600 b=14.600 c=14.600 alpha=90.00 beta=90.00 gamma=90.00
Space group Fd-3m (No. 227, origin choice 2)
Inequivalent atoms, fractional coordinates:
Mg (0.000, 0.000, 0.000) [16 per cell]
Mg (0.125, 0.125, 0.125) [8 per cell]
Al (0.012, 0.375, 0.875) [48 per cell]
Al (0.058, 0.058, 0.326) [96 per cell]
V (0.000, 0.000, 0.500) [16 per cell]

Largest 6 diffraction maxima, in order of rising 2θ, 10 to 90 degrees two-theta:
10.49 deg, I = 58.5, hkl 1 1 1
36.41 deg, I = 46.6, hkl 5 3 1
40.52 deg, I = 73.1, hkl 5 3 3
41.01 deg, I = 100.0, hkl 6 2 2
44.31 deg, I = 50.3, hkl 7 1 1
73.37 deg, I = 41.6, hkl 8 8 0


No. 2
Diffraction record for Mg14AlV. The powder X-ray diffraction pattern is computed, not measured: it uses a crystal structure in the Materials Project, relaxed with PBE and Cu Kα X-rays.
Peak positions follow from Bragg's law for the DFT cell and can differ from measured ones.

Structure:
Unit cell a=6.2681 b=6.2681 c=10.3114 alpha=90.00 beta=90.00 gamma=120.00
Space group P-6m2 (No. 187)
Inequivalent atoms, fractional coordinates:
Mg (0.0000, 0.0000, 0.2497) [2 per cell]
Mg (0.0056, 0.5028, 0.2505) [6 per cell]
Mg (0.3325, 0.1662, 0.0000) [3 per cell]
Mg (0.3345, 0.1673, 0.5000) [3 per cell]
Al (0.3333, 0.6667, 0.0000) [1 per cell]
V (0.3333, 0.6667, 0.5000) [1 per cell]